$1,000 from one idea
(Records of molecules, as found in the file)
Entry from the OMol25 dataset: a structure of composition C25H51CdN9O4P2S2 (the ωB97M-V functional and the def2-TZVPD basis).

Values from the calculation:
HOMO level = -7.05 eV
spin multiplicity = 1
orbital gap = 0.2759 hartree
relative energy (zero: lowest compared OMol25 entry of this formula, charge and spin) = 14.2 kcal/mol

Geometry as XYZ:
```
94
Properties=species:S:1:pos:R:3:forces:R:3:mulliken_charge:R:1
Cd -0.006710 -0.712407 1.288668 -0.2 0.6 -0.2 2.674
N 4.285990 -0.404018 2.180114 -0.2 0.2 0.0 -0.472
C 2.927500 -0.591140 2.303093 0.0 -0.1 0.1 0.189
S 1.922472 0.817125 1.948371 0.3 -0.4 0.0 -0.445
N 2.558238 -1.793589 2.639698 -0.2 0.1 0.0 -1.168
N 1.182378 -1.957649 2.654256 0.4 -0.1 0.0 0.578
C 0.699252 -2.932198 3.315482 -0.4 -0.1 0.1 -0.581
C -0.729056 -3.231945 3.429564 0.1 0.0 0.0 0.784
C -1.040122 -4.488503 3.978278 0.1 0.0 0.0 -0.650
C -2.333564 -4.926266 4.154753 -0.1 0.0 0.0 -0.780
C -3.376723 -4.068963 3.779495 0.1 -0.1 0.0 -0.447
C -3.110966 -2.826639 3.247713 -0.1 0.0 0.0 -0.523
C -1.793206 -2.344512 3.057117 0.2 0.2 0.0 0.402
O -1.640578 -1.128593 2.601060 -0.2 -0.3 0.0 -1.156
H 4.601292 0.548929 2.229127 0.0 0.0 0.0 0.212
H 4.856144 -1.089402 2.648337 0.0 0.0 0.0 0.254
H 1.399357 -3.589576 3.828326 0.0 -0.1 0.1 0.328
H -0.214312 -5.133148 4.268166 0.0 0.0 0.0 0.346
H -2.539758 -5.903944 4.576824 0.0 0.1 0.0 0.408
H -4.406359 -4.383088 3.918151 0.0 0.0 0.0 0.386
H -3.918284 -2.157078 2.966372 0.1 0.0 0.0 0.418
C -2.956488 0.158581 -0.468635 0.0 -0.1 -0.2 -0.532
N -2.448596 -0.804886 -1.466024 -0.2 -0.1 0.3 0.631
C -3.238856 -2.029148 -1.570201 0.0 0.1 0.1 -1.031
P -0.895419 -0.651227 -1.917344 0.2 0.1 0.2 -1.291
O 0.028233 -0.019285 -0.928290 -0.3 -0.3 0.0 0.522
O -0.394622 -2.175475 -2.251339 -0.1 0.0 0.2 -0.543
P -0.093671 -3.218995 -1.045616 -0.2 0.1 0.0 -1.210
O -0.711745 -2.747230 0.221393 0.2 0.0 -0.2 0.416
N -0.738947 -4.645800 -1.498058 0.1 -0.3 0.1 0.577
C -1.596608 -5.403485 -0.581459 0.0 0.0 -0.1 -0.841
C -0.193340 -5.392376 -2.628958 -0.2 0.1 0.1 -1.165
N 1.535591 -3.378531 -1.124881 0.3 0.2 0.3 0.422
C 2.410083 -2.216607 -1.359212 0.0 -0.3 0.0 -0.628
C 2.081644 -4.311421 -0.114310 0.0 0.0 -0.2 -0.884
N -0.834832 0.116127 -3.346584 0.1 0.1 -0.3 0.406
C 0.421866 0.726684 -3.778611 0.0 0.0 0.0 -0.706
C -1.731083 -0.289752 -4.423322 0.1 0.1 0.0 -1.056
H -3.992578 0.404517 -0.706941 0.0 0.0 0.0 0.377
H -2.380525 1.084445 -0.492953 0.0 -0.1 -0.1 -0.077
H -2.916134 -0.271517 0.536811 0.0 -0.1 0.0 0.083
H -4.218733 -1.794132 -1.990009 0.0 0.0 0.0 0.397
H -3.376278 -2.476304 -0.582882 0.0 0.0 0.0 0.288
H -2.755802 -2.758828 -2.215653 0.0 0.0 0.0 0.374
H -1.832759 -4.804398 0.296695 0.0 0.0 -0.1 0.149
H -1.094643 -6.320569 -0.254897 0.0 0.0 0.0 0.338
H -2.529822 -5.682984 -1.078684 0.0 0.0 0.0 0.271
H 0.453225 -4.757691 -3.230880 0.0 0.0 0.0 0.309
H -1.006038 -5.756603 -3.259728 0.0 0.0 0.0 0.362
H 0.389595 -6.252741 -2.286185 0.0 0.0 0.0 0.326
H 1.938219 -1.506051 -2.028354 0.0 0.0 0.0 0.129
(The records of molecules stop here)

It’s very difficult to answer the question: ‘How long does it take to write a good quality article?’
But I know this question is often asked by newcomers to the writing game, so to give at least some estimate or idea of how long I might take to write a freelance article, here is one example (a journalistic article) I completed recently. It’s not a travel article, but it will give clues to how to work effectively.
My pitch was for an article based on an interview with a young girl who was a shut in – she basically didn’t leave her parent’s apartment for a year. VICE Asia bought the idea, and I set to work. The work comprised:
- Setting up the meeting and interview with the girl through social workers and charities – various emails and phone calls just to find someone like her who was willing to talk to a journalist.
- Travelling to the interview place and interviewing her.
- Phone interviews with 3–4 other professionals who could shed light on this issue, on this mental condition.
- Research into the condition of social reclusiveness in general, especially in Japan, Hong Kong and Asian societies.
- Finding a translator to translate the interview, as the girl only spoke Cantonese.
- Finding a photographer to photograph the girl.
- Finally, with all the above gathered, the writing!
I estimate all the above points, 1–7, took about 30–40 hours in total – that is a very rough guesstimate, and those hours were obviously spread over various days. In fact, this particular commission, from initial pitch to filing the final article, took place over the course of about 6 months!
Even more interesting, I think, from a freelancing point of view, is that I didn’t even have the interview done or arranged when I initially pitched. It was only when I won the commission that I decided to spend the time and effort to find a reclusive subject willing to talk. There’s no point in spending valuable hours on this kind of thing if it won’t pay off.
• Between two parts of the article: records of molecules:
____________
[1]
The following is a DFT calculation (the ωB97M-V functional and the def2-TZVPD basis) of a molecular structure, C17H46AsMoN3O3P2S2Sb.

```
76
Properties=species:S:1:pos:R:3:mulliken_spin:R:1
Sb 1.9741 0.5357 4.1141 -0.002
Mo -0.3758 -0.3641 -0.6792 2.160
As -1.6343 2.0942 -3.7310 0.009
S 0.0164 1.3217 -2.5286 -0.026
S 1.3839 1.0734 0.2748 -0.017
P 0.1885 -1.8463 -2.6284 -0.098
P 1.5618 -1.9762 0.0628 -0.095
O -2.6219 -0.0626 -1.4620 0.026
O -1.9220 -2.0274 -0.8636 -0.019
O -1.0227 -0.7820 1.3948 0.006
N 1.3072 3.5001 1.2687 0.010
N -1.5289 1.5882 0.2379 0.009
N -0.7398 2.6272 0.7438 0.003
C -2.8569 -1.2794 -1.2582 0.002
C 3.2401 -1.3326 0.2947 0.000
C 3.5387 1.8058 3.3601 0.000
C 0.6092 2.1133 4.6360 -0.001
C -1.6716 -1.3314 2.2978 0.004
C -0.7385 3.3992 -4.8080 -0.001
C -2.5997 0.9416 -4.9210 0.004
C 1.7873 -3.3714 -1.1057 0.001
C -2.9626 3.0066 -2.6870 0.003
C 0.5892 2.5045 0.7863 0.017
C 1.1789 -2.7681 1.6407 0.006
C -2.1849 -2.7234 2.2057 0.001
C -1.9574 -0.5683 3.5445 0.001
C 1.6641 -1.3751 -3.5705 0.011
C 2.7990 0.2868 6.0623 0.001
C -1.1093 -2.1065 -3.8545 0.004
C 0.5676 -3.5088 -2.0032 -0.006
H -1.5417 -1.1660 -4.1722 0.001
H -1.4825 3.9170 -5.4131 0.000
H 3.0871 1.2532 6.4721 0.000
H -0.0206 2.8972 -5.4535 0.000
H 3.6738 -0.3583 6.0074 0.000
H 0.8964 4.3478 1.6332 -0.001
H 0.2689 -3.3584 1.5548 -0.002
H -0.1541 1.7401 5.3183 0.000
H 4.5005 1.3871 3.6548 0.000
H 1.4194 -0.5699 -4.2593 0.001
H -1.7207 -1.1755 4.4204 0.001
H -3.6116 3.5522 -3.3728 0.000
H -1.6697 -3.3246 2.9615 0.002
H -2.1545 1.2524 0.9659 0.001
H -2.0851 1.9292 -0.5390 -0.003
H 2.0095 -3.4344 1.8824 -0.002
H -1.2020 3.4482 1.1132 0.001
H 3.4577 2.8041 3.7896 0.000
H -1.8851 -2.7499 -3.4440 0.001
H -0.6625 -2.6029 -4.7179 -0.002
H 1.1497 2.9189 5.1312 0.000
H 1.0876 -2.0181 2.4267 0.001
H -0.3043 -3.8763 -1.4603 0.001
H 3.2967 -0.7213 1.1942 0.003
H 3.9016 -2.1935 0.4123 -0.003
H 3.5723 -0.7491 -0.5639 0.001
H -3.2452 1.5941 -5.5111 0.000
H -1.4011 0.3654 3.5775 -0.001
H 3.5293 1.8648 2.2702 0.000
H -3.2145 0.2451 -4.3567 -0.001
H -2.4772 3.7231 -2.0253 0.001
H -3.5588 2.2783 -2.1406 0.001
H -2.0507 -3.1550 1.2201 -0.001
H -3.0339 -0.3753 3.5971 0.001
H -0.2223 4.1060 -4.1621 -0.001
H 0.7524 -4.1825 -2.8426 -0.003
H 2.0638 -0.1774 6.7171 0.000
H 1.9772 -4.2755 -0.5251 -0.001
H -3.8573 -1.6947 -1.4194 -0.003
H -1.9161 0.4228 -5.5890 0.000
H 2.0132 -2.2404 -4.1373 -0.002
H 2.3104 3.4075 1.3352 0.000
H 2.6854 -3.1752 -1.6942 0.000
H -3.2389 -2.7433 2.4917 0.001
H 2.4650 -1.0238 -2.9200 -0.005
H 0.1127 2.5121 3.7487 0.001
```

Results
**Energy above the lowest of the compared OMol25 structures with the same formula, charge and spin**: 0.8087 eV
**Spin multiplicity**: 3
**Charge**: +3
**Energy**: -138446.3478 eV
**Largest force on an atom**: 0.3 eV Å⁻¹
**HOMO level (spin up / spin down)**: -0.559 / -0.559 hartree
**Expectation value of S²**: 2.03


[2]
____________
VICE paid me just under US$400 for that. Is that a ‘decent’ fee for that work? Probably not. There are far better-paid jobs you can find, that don’t take anywhere near as much time and effort, and that also pay better. But this was a story I really wanted to write.
Plus, a second important takeaway: I was able to increase the average hourly fee I earned by pitching a similar, though different version of the story to another publication. I had already done most of the hard work – which is the research – so by spending just a few more hours on an extra write, I could more than double the money earned.
My second pitch was focused on the social workers who worked with Tung, the girl I interviewed. As it happens when the SCMP saw my article, they wanted something rather more similar to the VICE piece, and after the edits and extras they requested, the two stories ended up with similar angles, focused on Tung herself.
In the end, having sold the two articles off the back of the research and interviews done, I earned just over US$1,000 for the time I spent. Much better, though still not raking it in.
Here are the two stories, if you’re interested:
VICE: Hong Kong Now Has Its Own ‘Hikikomori’ Problem Where Young People Are Shutting the Door on Society
SCMP: Hong Kong’s hidden youth: why city’s young are becoming recluses
The main lesson here for me was that when you have a good idea, and especially when you have good access – not many people would take the time or have the inclination to even start the research on what could have (should have?) been a non-starter of an idea – you win assignments.
Good to know other writers are putting in long hours for short pay. My article for a national newspaper easily took 40 hours of research and writing followed by four rewrites for an editor who couldn’t decide on the length or angle. But I totally enjoyed writing the article and seeing it published on the front page. But you’ve inspired me to double that $450 paycheck by pitching it to another client.
Calculated molecules that have nothing to do with the text =
____________
(w)
DFT (the ωB97M-V functional and the def2-TZVPD basis) results for C5H7N5 in the gas phase.

Positions of all 17 atoms, in Å:
C -1.380 2.026 0.941
C -1.256 1.516 -0.156
C 1.298 -0.569 0.765
C -1.318 0.583 -1.196
C -0.535 -0.741 -0.614
N 3.226 -0.025 -0.106
N 2.672 -0.225 0.927
N 3.499 -0.004 -1.178
N 0.825 -0.404 -0.385
N -1.166 -1.284 0.527
H -1.228 2.692 1.673
H 0.918 -0.766 1.777
H -0.530 0.707 -1.989
H -2.328 0.368 -1.686
H -0.442 -1.388 -1.478
H -1.687 -0.559 1.129
H -0.569 -1.928 1.048

Spin multiplicity = 1
Orbital gap = 10.053 eV
Highest occupied orbital energy = -9.33 eV
Net charge = 0

Here are the Mulliken charges for atoms 1 to 5, given in e:
1 C -0.25
2 C -0.31
3 C 0.12
4 C -0.40
5 C -0.19

(x)
DFT (the ωB97M-V functional and the def2-TZVPD basis) results for C5H7N5 in the gas phase.

Positions of all 17 atoms, in Å:
C -0.867 0.048 1.086
C 0.392 2.009 0.663
C 0.573 0.202 -0.996
C 0.539 -1.850 -1.719
C -0.327 -0.542 -0.152
H -1.726 -1.730 1.661
H -1.939 -0.409 2.813
H 1.285 2.162 1.273
H 0.071 3.044 0.697
H 1.340 2.156 -1.225
H 0.059 -2.243 -2.600
H 1.374 -2.551 -1.650
N -1.614 -0.765 1.903
N -0.589 1.287 1.437
N 0.706 1.533 -0.740
N 1.130 -0.538 -1.915
N -0.409 -1.812 -0.537

Spin multiplicity = 1
Orbital gap = 8.708 eV
Highest occupied orbital energy = -8.73 eV
SMILES = NC1=NCNC2=NCN=C12
Net charge = 0

Here are the Mulliken charges for atoms 1 to 5, given in e:
1 C 0.18
2 C -0.50
3 C 0.50
4 C -0.47
5 C 0.95

Most stable of them? (x).

(w)
DFT (the ωB97M-V functional and the def2-TZVPD basis) results for 5 unconnected molecules or ions with the total composition C5H17O7.

Positions of all 29 atoms, in Å:
O -1.417 -0.323 2.132
C -1.717 0.273 1.101
O -2.418 -0.175 0.119
C -1.115 1.686 0.890
C 0.427 1.543 0.955
C 1.018 0.457 0.069
C 2.408 0.759 -0.353
O 3.089 -0.370 -0.936
H -1.344 2.168 -0.051
H -1.396 2.244 1.789
H 0.932 2.513 0.868
H 0.633 1.394 2.016
H 0.374 0.431 -0.811
H 0.970 -0.534 0.551
H 2.477 1.538 -1.141
H 3.025 1.175 0.458
H 2.387 -0.942 -1.273
H -1.995 -0.846 -1.020
H -2.639 -1.055 -2.404
O -1.794 -1.230 -1.971
H 0.767 -2.723 -3.044
H -0.339 -2.378 -2.061
O 0.627 -2.505 -2.118
H -0.040 -0.250 3.943
H 1.255 0.599 4.021
O 0.575 0.166 4.557
H 0.472 -0.167 -3.415
H -0.851 0.164 -2.861
O -0.120 0.588 -3.359

Spin multiplicity = 1
Orbital gap = 8.851 eV
Highest occupied orbital energy = -5.66 eV
Net charge = -1

Here are the Mulliken charges for atoms 1 to 5, given in e:
1 O -0.62
2 C 0.39
3 O -0.82
4 C -0.62
5 C -0.61

(x)
DFT (the ωB97M-V functional and the def2-TZVPD basis) results for 6 unconnected molecules or ions with the total composition C5H17O7.

Positions of all 29 atoms, in Å:
O -1.764 -1.494 -1.257
C -1.746 -0.867 -0.172
O -1.757 -1.476 0.943
C -1.742 0.679 -0.173
C -1.364 1.216 -1.544
C -0.863 2.652 -1.349
C 0.350 3.051 -1.707
H -1.026 0.987 0.565
H -2.771 1.007 0.087
H -2.170 1.368 -2.269
H -0.622 0.523 -1.965
H -1.624 3.325 -0.934
H 1.050 2.409 -2.225
H 0.777 4.015 -1.505
H -0.788 -3.746 -0.295
____________
Good to know Kim yes! And absolutely. In fact I argue if you’re living the freelance life, especially if your work mostly comprises journlism and single gigs (as opposed to content marketing and retainers), it’s crazy NOT to resell them to multiple clients. Also why I advocate simultaneous pitching to multiple editors and organizations.
Thank you for this post! I have a question — do you tell the 2nd editor (where you are planning to pitch the 2nd spin) that you’ve already written a piece on that topic? do you tell your first editor that you are writing a second piece? Hate to step on toes in this business, and I’m wondering how that conversation would go … .thanks again.
Yes, transparency is key of course. I told VICE I was selling a similar story to SCMP – the only thing they wanted to be sure of was that the piece I did for them was published first. It was. I told SCMP I was writing a story about this girl for VICE, and asked if they would like a piece about the social workers, especially the animal-assisted therapy, that got her out of her slump and back into the world. They said yes. As I said, when they saw that version of the story they in fact wanted something much closer to my original VICE angle, which was fine by me, and also VICE (as they published weeks prior). So everyone was happy!
Thanks for sharing… that bit about the combination of good idea and good access resonates with me – and given some pitch ideas. Thanks!!
My maths might be a bit shakey but does that mean the SCMP paid $600 for that feature? Is that kind of money common?
Common? Probably not, but possible, yes. The Post pays about US$0.30 a word, plus they also paid half the translator fee (US$130-ish), and I think the fee I mentioned includes that fee too.